Wanted:
Set down the material underneath from the line with "Sr: 0.5998" to the end verbatim.

Given:
<<<
Starting from DFT lattice parameters and positions (GGA-PBE), the powder diffractogram of Sr4Pr3Pb3N2 was simulated for Cu Ka.
Peak positions follow from Bragg's law for the DFT cell and can differ from measured ones.

Crystal structure
abc: 13.1721 13.1721 5.1004
angles: 90.00 90.00 157.21
Fractional coordinates of all 12 atoms:
Sr: 0.0965 0.9035 0.0000
Sr: 0.4002 0.5998 0.5000
Sr: 0.5998 0.4002 0.5000
Sr: 0.9035 0.0965 0.0000
Pr: 0.0000 0.0000 0.5000
Pr: 0.1954 0.8046 0.5000
Pr: 0.8046 0.1954 0.5000
Pb: 0.3042 0.6958 0.0000
Pb: 0.5000 0.5000 0.0000
Pb: 0.6958 0.3042 0.0000
N: 0.1013 0.8987 0.5000
N: 0.8987 0.1013 0.5000

Principal peaks in the range 10 to 90 degrees two-theta, by angle:
2θ/deg	Rel. int.
24.68	9
30.02	100
34.47	19
34.74	18
35.19	18
49.74	13
50.08	13
50.28	13
59.02	15
59.37	14
59.98	14
62.39	13

Starting from DFT lattice parameters and positions (GGA-PBE), the powder diffractogram of SrCdFe2 was simulated for Cu Ka.
Peak positions follow from Bragg's law for the DFT cell and can differ from measured ones.

Crystal structure
abc: 6.8688 6.8688 6.8688
angles: 90.00 90.00 90.00
Fractional coordinates of all 16 atoms:
Sr: 0.0000 0.0000 0.0000
Sr: 0.0000 0.5000 0.5000
Sr: 0.5000 0.0000 0.5000
Sr: 0.5000 0.5000 0.0000
Cd: 0.2500 0.2500 0.2500
Cd: 0.2500 0.7500 0.7500
Cd: 0.7500 0.2500 0.7500
Cd: 0.7500 0.7500 0.2500
Fe: 0.0000 0.0000 0.5000
Fe: 0.0000 0.5000 0.0000
Fe: 0.2500 0.2500 0.7500
Fe: 0.2500 0.7500 0.2500
Fe: 0.5000 0.0000 0.0000
Fe: 0.5000 0.5000 0.5000
Fe: 0.7500 0.2500 0.2500
Fe: 0.7500 0.7500 0.7500

Principal peaks in the range 10 to 90 degrees two-theta, by angle:
2θ/deg	Rel. int.
22.42	9
25.94	1
37.02	100
43.71	5
53.35	17
58.58	2
66.71	33
71.35	2
78.82	10
83.21	2

Starting from DFT lattice parameters and positions (GGA-PBE), the powder diffractogram of NdZrAu6 was simulated for Cu Ka.
Peak positions follow from Bragg's law for the DFT cell and can differ from measured ones.

Crystal structure
abc: 4.9716 6.2740 5.0901
angles: 90.00 90.00 90.00
Fractional coordinates of all 8 atoms:
Nd: 0.0000 0.0000 0.0000
Zr: 0.5000 0.5000 0.3194
Au: 0.0000 0.2701 0.4989
Au: 0.0000 0.5000 0.0069
Au: 0.0000 0.7299 0.4989
Au: 0.5000 0.0000 0.3505
Au: 0.5000 0.2638 0.8260
Au: 0.5000 0.7362 0.8260

Principal peaks in the range 10 to 90 degrees two-theta, by angle:
2θ/deg	Rel. int.
33.56	24
35.26	10
36.13	40
38.26	100
39.79	47
50.14	16
62.20	16
66.39	20
67.44	10
71.07	10
73.43	14
74.10	19

Starting from DFT lattice parameters and positions (GGA-PBE), the powder diffractogram of Hg was simulated for Cu Ka.
Peak positions follow from Bragg's law for the DFT cell and can differ from measured ones.

Crystal structure
abc: 4.1464 4.1464 11.5123
angles: 90.00 90.00 120.00
Fractional coordinates of all 6 atoms:
Hg: 0.0000 0.0000 0.2505
Hg: 0.0000 0.0000 0.7495
Hg: 0.3333 0.6667 0.4162
Hg: 0.3333 0.6667 0.9171
Hg: 0.6667 0.3333 0.0829
Hg: 0.6667 0.3333 0.5838

Principal peaks in the range 10 to 90 degrees two-theta, by angle:
2θ/deg	Rel. int.
29.31	100
40.15	44
43.66	35
47.38	9
53.46	19
60.81	13
66.39	20
70.50	9
71.41	17
77.81	13
80.19	6
86.72	5

~~~~~

No. 1
Starting from a DFT-relaxed cell (PBE, Alexandria), the powder X-ray diffraction pattern of DyTiFe11 was simulated for Cu Kα.
Intensities are scaled so that the largest is 100.

Top 10 peaks for 15° ≤ 2θ ≤ 90°, sorted by position:
two_theta  Rel. int.
30.30  40
37.05  21
37.24  24
38.30  16
42.54  32
42.85  28
43.05  100
44.07  69
49.29  23
72.53  20

Structural model:
Cell lengths 6.434, 6.434, 6.434 Å; angles 137.16, 98.01, 97.32 degrees
Atoms (fractional coordinates):
Dy (0.000, 0.000, 0.000)
Ti (0.375, 0.375, 0.000)
Fe (0.004, 0.004, 0.499)
Fe (0.004, 0.505, 0.000)
Fe (0.224, 0.506, 0.718)
Fe (0.233, 0.733, 0.500)
Fe (0.361, 0.006, 0.356)
Fe (0.506, 0.004, 0.000)
Fe (0.506, 0.505, 0.501)
Fe (0.650, 0.006, 0.644)
Fe (0.652, 0.652, 0.000)
Fe (0.774, 0.274, 0.500)
Fe (0.789, 0.506, 0.282)



No. 2
>>>

Reply:
Sr: 0.5998 0.4002 0.5000
Sr: 0.9035 0.0965 0.0000
Pr: 0.0000 0.0000 0.5000
Pr: 0.1954 0.8046 0.5000
Pr: 0.8046 0.1954 0.5000
Pb: 0.3042 0.6958 0.0000
Pb: 0.5000 0.5000 0.0000
Pb: 0.6958 0.3042 0.0000
N: 0.1013 0.8987 0.5000
N: 0.8987 0.1013 0.5000

Principal peaks in the range 10 to 90 degrees two-theta, by angle:
2θ/deg	Rel. int.
24.68	9
30.02	100
34.47	19
34.74	18
35.19	18
49.74	13
50.08	13
50.28	13
59.02	15
59.37	14
59.98	14
62.39	13

Starting from DFT lattice parameters and positions (GGA-PBE), the powder diffractogram of SrCdFe2 was simulated for Cu Ka.
Peak positions follow from Bragg's law for the DFT cell and can differ from measured ones.

Crystal structure
abc: 6.8688 6.8688 6.8688
angles: 90.00 90.00 90.00
Fractional coordinates of all 16 atoms:
Sr: 0.0000 0.0000 0.0000
Sr: 0.0000 0.5000 0.5000
Sr: 0.5000 0.0000 0.5000
Sr: 0.5000 0.5000 0.0000
Cd: 0.2500 0.2500 0.2500
Cd: 0.2500 0.7500 0.7500
Cd: 0.7500 0.2500 0.7500
Cd: 0.7500 0.7500 0.2500
Fe: 0.0000 0.0000 0.5000
Fe: 0.0000 0.5000 0.0000
Fe: 0.2500 0.2500 0.7500
Fe: 0.2500 0.7500 0.2500
Fe: 0.5000 0.0000 0.0000
Fe: 0.5000 0.5000 0.5000
Fe: 0.7500 0.2500 0.2500
Fe: 0.7500 0.7500 0.7500

Principal peaks in the range 10 to 90 degrees two-theta, by angle:
2θ/deg	Rel. int.
22.42	9
25.94	1
37.02	100
43.71	5
53.35	17
58.58	2
66.71	33
71.35	2
78.82	10
83.21	2

Starting from DFT lattice parameters and positions (GGA-PBE), the powder diffractogram of NdZrAu6 was simulated for Cu Ka.
Peak positions follow from Bragg's law for the DFT cell and can differ from measured ones.

Crystal structure
abc: 4.9716 6.2740 5.0901
angles: 90.00 90.00 90.00
Fractional coordinates of all 8 atoms:
Nd: 0.0000 0.0000 0.0000
Zr: 0.5000 0.5000 0.3194
Au: 0.0000 0.2701 0.4989
Au: 0.0000 0.5000 0.0069
Au: 0.0000 0.7299 0.4989
Au: 0.5000 0.0000 0.3505
Au: 0.5000 0.2638 0.8260
Au: 0.5000 0.7362 0.8260

Principal peaks in the range 10 to 90 degrees two-theta, by angle:
2θ/deg	Rel. int.
33.56	24
35.26	10
36.13	40
38.26	100
39.79	47
50.14	16
62.20	16
66.39	20
67.44	10
71.07	10
73.43	14
74.10	19

Starting from DFT lattice parameters and positions (GGA-PBE), the powder diffractogram of Hg was simulated for Cu Ka.
Peak positions follow from Bragg's law for the DFT cell and can differ from measured ones.

Crystal structure
abc: 4.1464 4.1464 11.5123
angles: 90.00 90.00 120.00
Fractional coordinates of all 6 atoms:
Hg: 0.0000 0.0000 0.2505
Hg: 0.0000 0.0000 0.7495
Hg: 0.3333 0.6667 0.4162
Hg: 0.3333 0.6667 0.9171
Hg: 0.6667 0.3333 0.0829
Hg: 0.6667 0.3333 0.5838

Principal peaks in the range 10 to 90 degrees two-theta, by angle:
2θ/deg	Rel. int.
29.31	100
40.15	44
43.66	35
47.38	9
53.46	19
60.81	13
66.39	20
70.50	9
71.41	17
77.81	13
80.19	6
86.72	5

~~~~~

No. 1
Starting from a DFT-relaxed cell (PBE, Alexandria), the powder X-ray diffraction pattern of DyTiFe11 was simulated for Cu Kα.
Intensities are scaled so that the largest is 100.

Top 10 peaks for 15° ≤ 2θ ≤ 90°, sorted by position:
two_theta  Rel. int.
30.30  40
37.05  21
37.24  24
38.30  16
42.54  32
42.85  28
43.05  100
44.07  69
49.29  23
72.53  20

Structural model:
Cell lengths 6.434, 6.434, 6.434 Å; angles 137.16, 98.01, 97.32 degrees
Atoms (fractional coordinates):
Dy (0.000, 0.000, 0.000)
Ti (0.375, 0.375, 0.000)
Fe (0.004, 0.004, 0.499)
Fe (0.004, 0.505, 0.000)
Fe (0.224, 0.506, 0.718)
Fe (0.233, 0.733, 0.500)
Fe (0.361, 0.006, 0.356)
Fe (0.506, 0.004, 0.000)
Fe (0.506, 0.505, 0.501)
Fe (0.650, 0.006, 0.644)
Fe (0.652, 0.652, 0.000)
Fe (0.774, 0.274, 0.500)
Fe (0.789, 0.506, 0.282)



No. 2